Here is the place to discuss religious and spiritual matters.
"Try and be nice to people, avoid eating fat, read a good book every now and then, get some walking in, and try and live together in peace and harmony with people of all creeds and nations."
Why would a creationist read The God Delusion? Anyway, Ive set myself a goal (always lived my life by goal setting, it focus's the mind) to read the entire Bible...Genesis to 3 months!...
(Molecular data that have nothing to do with the entry)
(1)
10
Properties=species:S:1:pos:R:3:nbo_charge:R:1 method="wB97M-V/def2-TZVPD" lumo_ev=0.3 spin_multiplicity=1 smiles="O=C[C@H](Cl)C(Cl)Cl" largest_force_ev_per_a=3.65
O 0.544 -1.837 -1.089 -0.48
C 0.910 -0.680 -0.923 0.40
C -0.253 0.269 -0.494 -0.31
Cl 0.029 1.961 -1.016 -0.05
C -0.511 0.277 1.050 -0.22
Cl -1.201 -1.296 1.395 0.02
Cl 0.964 0.657 1.950 0.00
H 1.903 -0.330 -1.180 0.16
H -1.189 -0.019 -0.969 0.25
H -1.195 0.998 1.276 0.22



(2)
35
Properties=species:S:1:pos:R:3:mulliken_spin:R:1 method="wB97M-V/def2-TZVPD" lumo_ev="-9.8 / -9.7" spin_multiplicity=7 largest_force_ev_per_a=6.32 charge=+2
N 0.968 3.732 -0.575 0.00
C 0.677 2.451 -1.247 0.01
N 1.666 1.384 -0.811 -0.03
N 0.975 2.680 -2.733 0.01
C -0.843 1.974 -1.173 -0.05
Al -1.586 1.713 0.711 -0.09
C -0.342 0.669 1.979 -0.24
C -0.957 -0.654 2.612 0.05
C -1.111 -1.871 1.553 0.00
F -1.420 -2.991 2.380 0.00
F -2.299 -1.572 0.823 0.00
C 0.146 -2.074 0.618 0.00
F 0.141 -1.066 -0.434 0.06
F 1.340 -1.863 1.336 0.00
S 0.327 -3.719 -0.254 -0.03
F -1.282 -4.045 -0.276 0.01
F 0.627 -4.583 1.103 0.00
F 1.975 -3.381 -0.455 -0.02
F 0.100 -2.910 -1.778 0.33
F 0.565 -5.109 -1.124 0.01
H 1.841 3.686 -0.041 0.00
H 0.181 4.088 -0.023 0.00
H 2.614 1.778 -0.748 0.00
H 1.643 0.614 -1.491 -0.08
H 1.933 2.313 -2.907 0.00
H 0.373 1.999 -3.239 0.00
H -0.983 0.987 -1.738 -0.05
H -1.515 2.740 -1.703 0.01
H -3.017 0.987 0.728 -0.39
H -1.850 3.163 1.387 -0.24
H -0.073 1.368 2.850 -0.03
H 0.634 0.489 1.411 0.01
H -0.376 -1.055 3.503 -0.01
H -2.033 -0.405 2.930 -0.01
Tb 0.965 -1.520 -3.171 6.76

----------

1.
A structure of composition C16H38BaNO7 at a distorted geometry. Source: the Open Molecules 2025 dataset; level of theory: ωB97M-V/def2-TZVPD.

Computed properties:
gap between HOMO and LUMO	4.2	eV
energy relative to the best compared isomer or geometry (same formula, charge and spin)	3.840	eV
LUMO energy	-0.1947	Ha
net charge	+1

Geometry (Å):
Ba -6.87654 17.28788 16.31666
O -5.08554 17.11152 11.78953
C -6.08836 16.78540 12.56877
O -5.92779 16.66127 13.77467
O -7.19107 16.85664 12.05546
H -5.68862 17.25009 11.05558
C -4.22546 13.56445 12.47883
C -3.03573 14.55654 12.60328
O -3.03431 15.31191 13.82782
H -4.14607 13.06270 11.51444
H -5.22704 13.93496 12.69716
H -4.06894 12.81733 13.25690
H -2.99307 15.12903 11.67671
H -2.11329 13.97856 12.54722
H -3.55132 16.10953 13.69324
C -11.13398 18.06602 13.59966
C -10.11670 17.24169 14.38255
O -8.81662 17.79899 14.50061
H -10.79420 18.18630 12.57098
H -11.14133 19.04904 14.07053
H -12.12400 17.61397 13.65973
H -9.96283 16.22408 14.02352
H -10.47951 17.15223 15.40649
H -8.45707 17.61566 13.62957
C -7.37470 14.30621 9.19775
C -8.63207 14.47631 10.09318
O -8.22604 14.20659 11.40268
H -6.54814 14.90997 9.57243
H -7.57820 14.65906 8.18671
H -6.90353 13.32342 9.18299
H -9.40569 13.77868 9.77237
H -9.13292 15.44416 10.11605
H -7.88493 15.02110 11.77926
C -7.97155 20.45249 10.99830
C -7.70323 20.61564 9.52071
C -6.44221 21.53465 9.24088
C -5.83175 21.42688 7.81442
Our beliefs (or non-beliefs even) are based upon our present understanding of available evidence at any given moment in time. I don't believe in fairies because I am not presented with any evidence...
Molecular data, as found in the file:
Density functional theory data (ωB97M-V with the def2-TZVPD basis set) for a structure of composition C45H55AsN2O2S2SeSn at a distorted geometry.

**Frontier orbital gap**: 0.2591 hartree
**Multiplicity**: 1
**Total charge**: 0
**HOMO energy**: -0.3033 Eh
**E**: -208321.6741 eV

Each line ends with the natural charge from an NBO analysis.
Geometry (Å):
Sn (-0.19883, -0.22347, 0.23275)  1.614
C (5.86189, -0.91910, 5.14903)  -0.603
C (4.57214, -0.41517, 5.79721)  -0.075
C (4.86832, 0.90614, 6.52143)  -0.594
C (4.10670, -1.46278, 6.81897)  -0.595
C (3.46325, -0.20260, 4.77016)  -0.040
C (3.64836, -0.35386, 3.40677)  -0.222
C (2.55086, -0.34676, 2.55918)  -0.298
Se (2.77171, -0.47006, 0.68096)  0.486
C (2.58588, -2.35657, 0.55042)  -0.278
C (3.51579, -3.18682, 1.15149)  -0.235
C (3.38591, -4.56132, 1.05223)  0.075
C (2.23827, -5.04764, 0.42450)  -0.231
C (1.25367, -4.23785, -0.12850)  -0.058
C (1.46882, -2.84084, -0.12834)  0.353
O (0.65395, -1.96915, -0.73034)  -0.869
C (0.01229, -4.83091, -0.80209)  -0.076
C (-0.08060, -6.34609, -0.60936)  -0.604
C (0.08975, -4.54065, -2.30928)  -0.604
C (-1.25979, -4.20751, -0.20425)  -0.597
C (4.50528, -5.46496, 1.57050)  -0.096
C (4.73494, -5.19959, 3.06497)  -0.592
C (4.18468, -6.94810, 1.38128)  -0.606
C (5.78466, -5.14767, 0.78075)  -0.595
C (1.23248, -0.18068, 3.00727)  0.393
O (0.17533, -0.46427, 2.25581)  -0.863
C (1.07934, 0.27402, 4.33889)  -0.089
C (2.18140, 0.17077, 5.17858)  -0.131
C (-0.23275, 0.82761, 4.92850)  -0.057
C (0.09498, 2.13873, 5.66565)  -0.599
C (-0.82140, -0.19127, 5.91277)  -0.599
C (-1.30312, 1.17724, 3.88475)  -0.604
H (6.61797, -1.07626, 5.92015)  0.214
H (6.25995, -0.19532, 4.43523)  0.208
H (5.70047, -1.87037, 4.63698)  0.208
H (5.64461, 0.76116, 7.27632)  0.206
H (3.97744, 1.29248, 7.01870)  0.207
H (5.21404, 1.65966, 5.81109)  0.211
H (4.89399, -1.64168, 7.55508)  0.207
H (3.87681, -2.40829, 6.32340)  0.213
H (3.21284, -1.13487, 7.35080)  0.207
H (4.63204, -0.50937, 2.98452)  0.220
H (4.35587, -2.74618, 1.67536)  0.216
H (2.10368, -6.11623, 0.36590)  0.219
H (0.74042, -6.86968, -1.10195)  0.207
H (-1.01315, -6.70295, -1.05027)  0.214
H (-0.08891, -6.61096, 0.44964)  0.213
H (0.95286, -5.04880, -2.74440)  0.211
H (0.19378, -3.47108, -2.48201)  0.217
H (-0.81338, -4.90123, -2.80984)  0.203
H (-1.28071, -4.34110, 0.87932)  0.215
H (-2.14150, -4.69488, -0.62732)  0.206
H (-1.32235, -3.14295, -0.42256)  0.210
H (3.81761, -5.37713, 3.62918)  0.213
H (5.04894, -4.17054, 3.24773)  0.203
H (5.51390, -5.86405, 3.44563)  0.207
H (3.28243, -7.23529, 1.92516)  0.210
H (5.01190, -7.55005, 1.76090)  0.214
H (4.05185, -7.19285, 0.32562)  0.209
H (6.09977, -4.11440, 0.93264)  0.206
H (5.61211, -5.29499, -0.28712)  0.212
H (6.59957, -5.80429, 1.09438)  0.207
H (2.03002, 0.40148, 6.22639)  0.199
H (0.74396, 1.98435, 6.52786)  0.201
H (-0.82713, 2.59854, 6.02706)  0.209
H (0.58779, 2.84113, 4.99090)  0.213
H (-0.11497, -0.42128, 6.71252)  0.203
H (-1.06657, -1.12013, 5.39434)  0.214
… under pressure from LGBTQ+ campaigners who say statements Graham had made were incompatible with their values, and that his appearance would be divisive, could be disruptive or lead to a breach of...
That you could never have done for yourself anyway? Theres always lots of debates on AB (or at least r&s) about the existence of God, creation v evolution, the historicity of the Bible etc. But very...
A friend distraught and in floods of tears called me today. Her daughter has split from her selfish, uncaring husband. ‘’Good”, you might say, as I did, but no, it isn’t good because my friend...
Could it be that in trying to discover the origins of the universe, science has compromised its search for the truth, in favour of a strict adherence to naturalism?...
After years of debate on here (and elsewhere, both online and in person) with religious fundamentalists, there's only one conclusion that can be reached. Their brains are switched off! Im not talking...
Has anyone watched it ? We saw the final episode last night & I marked it as a 10.
Below is a 30-piece molecular cluster, C26H94BrClIN2O35PS overall in a non-equilibrium geometry, with properties calculated with wB97M-V/def2-TZVPD.

LUMO level ... -1.2 eV
Gap between HOMO and LUMO ... 7.4 eV

```
! wB97M-V def2-TZVPD RIJCOSX def2/J DEFGRID3
* xyz 0 1
C 3.15569 -2.09416 3.83778
C 4.70467 -1.58692 3.65756
N 5.11822 -1.28373 2.23440
C 3.94112 -0.98223 1.32998
C 3.38480 -2.19716 0.38096
C 3.98957 -3.72095 0.38390
O 4.63556 -4.13378 -0.87232
O 5.16169 -3.12241 -1.51047
C 2.14045 -1.86192 -0.63128
C 1.36078 -0.41075 -0.76241
C 1.96348 0.80591 0.21485
C 1.26069 2.31943 0.09810
C 2.38752 3.48243 -0.32083
O 3.48222 2.80579 -1.04012
C 4.30075 3.74470 -1.82223
C 4.74606 5.10954 -1.03185
C 3.20368 0.51695 1.24801
P 3.95388 1.83137 2.46824
O 5.02290 2.93582 1.57747
Br 2.34820 3.15338 3.37400
N 0.20203 -0.14129 -1.69620
C -0.73531 -1.31899 -1.83644
C -2.37071 -0.99218 -1.96634
O -2.94682 0.36584 -1.93120
C -3.35374 0.76016 -0.57277
C -4.98663 1.03699 -0.41753
C -5.58749 -0.04482 0.70535
C -5.35424 2.52810 0.15757
C -6.98633 2.66281 0.46610
C -7.33023 2.53035 2.09051
C -7.61352 4.11916 -0.00354
C -3.43041 -2.26889 -2.17533
I -5.62715 -1.97496 -2.42853
C -2.93833 -3.85456 -2.24417
Cl -4.18471 -5.21558 -2.46218
C -1.33660 -4.17528 -2.10528
O -0.89418 -5.60428 -2.14511
C -0.32061 -2.90277 -1.91906
S 1.54248 -3.27952 -1.76472
H 3.05179 -2.49489 4.95424
H 2.45978 -1.13941 3.73156
H 2.91947 -2.93218 3.05103
H 5.49775 -2.37919 4.06822
H 4.85727 -0.61685 4.30945
H 5.73173 -2.03883 1.82747
H 3.06702 -4.44639 0.59463
H 4.74171 -3.91450 1.28838
H 4.65147 -2.98114 -2.38004
H 0.63814 2.60790 1.04768
H 0.48449 2.32819 -0.80901
H 2.72432 4.10774 0.61092
H 1.86000 4.18982 -1.12478
H 3.84276 4.03951 -2.86969
H 5.31274 3.16545 -2.07819
H 4.63537 5.07343 0.13221
H 4.16815 6.07872 -1.39650
H 5.90764 5.28622 -1.24367
H 5.93544 2.70077 1.97178
H 0.50847 0.08689 -2.66852
H -3.06602 -0.04813 0.24007
H -2.83245 1.80789 -0.35750
H -5.55230 0.93872 -1.46432
H -5.03132 -1.07729 0.60223
H -6.74268 -0.25074 0.49464
H -5.52686 0.42470 1.77635
H -4.78208 2.74672 1.15553
H -5.12350 3.34003 -0.66529
H -7.62017 1.84125 -0.11298
H -6.38246 2.32585 2.74919
H -7.89918 3.52594 2.42338
H -8.12776 1.65897 2.24550
H -7.04706 4.99022 0.54685
H -8.73268 4.14908 0.41133
H -7.70240 4.25162 -1.16339
H -1.23118 -6.01744 -1.28364
O 5.21149 8.15978 -1.80074
H 5.77440 8.70610 -2.36961
H 5.41607 8.46670 -0.90468
O 7.67554 8.26788 -3.67224
H 8.63177 8.12822 -3.74342
H 7.29465 7.41340 -3.92477
O 0.73109 -0.81037 5.06743
H 1.33020 -0.08912 5.31200
H 0.84067 -1.45767 5.78015
O 3.43473 -7.41263 -0.05643
H 3.90382 -6.61802 -0.35223
H 3.66341 -7.48366 0.88252
O 6.68724 -7.44187 -0.99950
H 5.77900 -7.44422 -0.66179
H 6.63572 -6.90752 -1.80622
O -7.13395 -0.99390 3.17628
H -7.38668 -0.68972 4.06090
H -7.77741 -1.69000 2.97531
O 7.33109 2.66372 3.75281
H 7.93020 3.38496 3.99738
H 7.44067 2.01641 4.46553
O -6.76527 2.59717 5.25439
H -6.29618 3.39178 4.95860
H -6.53659 2.52614 6.19335
(End of the molecular data)
Wasn't sure when watching it whether it was magic-realism, science- fiction or a documentary., great!... An hour long video, but even atheists might feel it interesting and entertaining, and Km sure fellow Christians certainly will. Just watching the news confirms it all for...
Have you noticed all of the component parts of a new world religion emerging around the world? It consists of all kinds of elements, some of which are gathering a fanatical following. The emerging...
With Brexit out of the way (?!) can we now turn to more momentous issues? I refer to those posed by St Augustine in reference to Creation; Who made it? By what means? & Why?...
Since living in a high rise block of flats (with video intercom) I no longer get the religious door knockers, (Mostly J.W's, the odd Mormon and the occasional Evangelical Christian). I sometimes miss...
The annual offering from the keyboard of Naomi begins with a replay of a Christmas song I’ve used before - but I like it and, with the children’s voices, I think it epitomises Christmas. I wish...
With the UK heading towards being a Muslim country by 2050 (probably before). Which of these alternatives would you prefer to live under? The choice though, as things stand, appears to be...